_Contents_
- - -
# C7H6

The molecule C7H6 in a non-equilibrium geometry (the ωB97M-V functional and the def2-TZVPD basis, OMol25).

Structure (ORCA input):
```
! wB97M-V def2-TZVPD RIJCOSX def2/J DEFGRID3
* xyz 0 1
C -1.8618 0.2088 0.1662
C -1.1909 -0.9166 0.0404
C 0.2766 -0.7385 0.2796
C 1.6042 -0.6897 -0.6111
C 1.9202 0.6002 -0.2003
C 0.4451 0.7127 0.3651
C -0.7740 1.3383 0.2337
H -2.9286 0.3663 0.1042
H -1.6253 -1.8552 -0.1109
H 0.4080 -1.3739 1.1857
H 1.8987 -1.4264 -1.1792
H 2.6437 1.3553 -0.4341
H -0.8161 2.4187 0.1608
*
```

Output
SMILES = C1=C[C@H]2C=CC2=C1
E_LUMO = 1.04 eV
Frontier orbital gap = 9.12 eV
Energy relative to the best compared isomer or geometry (same formula, charge and spin) = 174.3 kJ/mol

# C7H6

The molecule C7H6 in a non-equilibrium geometry (the ωB97M-V functional and the def2-TZVPD basis, OMol25).

Structure (ORCA input):
```
! wB97M-V def2-TZVPD RIJCOSX def2/J DEFGRID3
* xyz 0 3
C -0.7911 -1.8053 0.7458
C -1.8032 -0.1604 -0.6257
C 0.1029 -0.8255 0.6502
C -2.0746 -1.4924 -0.0283
C -0.6569 0.7048 -0.6241
C 0.5174 0.4143 0.1309
C 1.9264 0.9501 0.1613
H -0.4882 -2.6184 1.3656
H -2.6490 0.1762 -1.2844
H -0.8208 1.8091 -1.0121
H 2.3321 0.4889 1.1386
H 1.9629 2.0450 0.0309
H 2.4421 0.3135 -0.6486
*
```

Output
E_LUMO (alpha / beta) = 0.66 / -1.72 eV
Expectation value of S² = 2.0466
Frontier orbital gap (alpha / beta) = 8.31 / 7.12 eV
Energy relative to the best compared isomer or geometry (same formula, charge and spin) = 13.0 kJ/mol

# C7H6Cl2NOS

A cluster of 2 separate species, C7H6Cl2NOS in total in a non-equilibrium geometry (the ωB97M-V functional and the def2-TZVPD basis, OMol25).

Structure (ORCA input):
```
! wB97M-V def2-TZVPD RIJCOSX def2/J DEFGRID3
* xyz 1 1
C 2.1433 -1.5143 0.6253
C 3.2689 -0.7926 0.5617
C 1.2666 0.3905 -0.3403
C 0.4238 1.2850 -0.7380
C -2.7986 1.1949 -0.8925
C -2.7142 1.4038 0.4316
C -0.0917 -1.4823 -0.1059
N 1.0991 -0.9463 -0.0122
O -0.0856 2.2570 -0.9817
S 3.0789 0.8021 -0.0875
Cl -1.4260 0.7901 1.4589
Cl -0.5099 -2.9486 0.5134
H 2.0888 -2.4708 1.1938
H 4.2682 -1.2546 0.9962
H -3.5411 1.6899 -1.4831
H -2.1424 0.5355 -1.4311
H -3.4499 2.0087 0.9566
H -0.8781 -0.9481 -0.6652
*
```

Output
E_LUMO = -5.05 eV
Frontier orbital gap = 7.23 eV
Energy relative to the best compared isomer or geometry (same formula, charge and spin) = 0.0 kJ/mol

# C7H6Cl2NP

The molecule C7H6Cl2NP in a non-equilibrium geometry (the ωB97M-V functional and the def2-TZVPD basis, OMol25).

Structure (ORCA input):
```
! wB97M-V def2-TZVPD RIJCOSX def2/J DEFGRID3
* xyz 0 1
C -2.0966 -0.4857 0.9195
C -0.8140 -0.3446 0.1426
C -0.5263 0.6996 -0.7332
C 0.1257 0.3073 -1.9321
N 0.4476 0.0776 -3.0152
C 0.2186 -1.2969 0.3130
C 1.5756 -1.0716 0.3060
Cl 2.6660 -2.4634 0.5496
P 2.3041 0.4261 0.8738
C 1.4314 1.7102 -0.1238
Cl 1.2640 3.2394 0.6143
H -3.0945 -0.3057 0.3184
H -2.2222 0.1159 1.7372
H -2.0760 -1.5874 1.3344
H -1.0762 1.6526 -0.8086
H -0.0620 -2.3096 0.6616
H 1.9348 1.6360 -1.1575
*
```

Output
SMILES = CC(=C/C#N)/C=C(Cl)\P=C\Cl
E_LUMO (alpha / beta) = -1.24 / -1.24 eV
Frontier orbital gap (alpha / beta) = 7.38 / 7.38 eV
Energy relative to the best compared isomer or geometry (same formula, charge and spin) = 186.5 kJ/mol

=====

(1)
Computed, not measured: C25H22BHoN8O5S as an isolated structure, with ωB97M-V with the def2-TZVPD basis set.

Geometry (Å):
Ho  -1.98  0.19  0.04
C  -0.99  -2.99  -2.75
C  -1.96  -2.05  -2.42
N  -2.03  -1.90  -1.10
N  -1.11  -2.73  -0.56
C  -0.48  -3.40  -1.53
B  -0.86  -2.85  0.97
N  0.17  -1.78  1.42
C  1.44  -2.00  1.81
C  2.00  -0.79  2.16
C  0.98  0.14  1.96
N  -0.12  -0.47  1.52
N  -2.17  -2.60  1.73
C  -2.75  -3.39  2.65
C  -3.87  -2.75  3.14
C  -3.90  -1.54  2.45
N  -2.87  -1.45  1.61
H  -0.70  -3.33  -3.73
H  -2.61  -1.49  -3.07
H  0.29  -4.12  -1.30
H  -0.43  -3.94  1.22
H  1.86  -2.99  1.81
H  3.00  -0.60  2.52
H  1.00  1.21  2.09
H  -2.33  -4.35  2.89
H  -4.57  -3.11  3.87
H  -4.62  -0.73  2.52
C  -1.89  1.41  4.17
C  -2.68  2.08  3.10
N  -2.79  1.66  1.86
C  -3.67  2.53  1.22
- - -
_Request_
Next, find the line earlier on that holds "0.0404", then print that line and all lines after it there.
_Written answer_
C -1.1909 -0.9166 0.0404
C 0.2766 -0.7385 0.2796
C 1.6042 -0.6897 -0.6111
C 1.9202 0.6002 -0.2003
C 0.4451 0.7127 0.3651
C -0.7740 1.3383 0.2337
H -2.9286 0.3663 0.1042
H -1.6253 -1.8552 -0.1109
H 0.4080 -1.3739 1.1857
H 1.8987 -1.4264 -1.1792
H 2.6437 1.3553 -0.4341
H -0.8161 2.4187 0.1608
*
```

Output
SMILES = C1=C[C@H]2C=CC2=C1
E_LUMO = 1.04 eV
Frontier orbital gap = 9.12 eV
Energy relative to the best compared isomer or geometry (same formula, charge and spin) = 174.3 kJ/mol

# C7H6

The molecule C7H6 in a non-equilibrium geometry (the ωB97M-V functional and the def2-TZVPD basis, OMol25).

Structure (ORCA input):
```
! wB97M-V def2-TZVPD RIJCOSX def2/J DEFGRID3
* xyz 0 3
C -0.7911 -1.8053 0.7458
C -1.8032 -0.1604 -0.6257
C 0.1029 -0.8255 0.6502
C -2.0746 -1.4924 -0.0283
C -0.6569 0.7048 -0.6241
C 0.5174 0.4143 0.1309
C 1.9264 0.9501 0.1613
H -0.4882 -2.6184 1.3656
H -2.6490 0.1762 -1.2844
H -0.8208 1.8091 -1.0121
H 2.3321 0.4889 1.1386
H 1.9629 2.0450 0.0309
H 2.4421 0.3135 -0.6486
*
```

Output
E_LUMO (alpha / beta) = 0.66 / -1.72 eV
Expectation value of S² = 2.0466
Frontier orbital gap (alpha / beta) = 8.31 / 7.12 eV
Energy relative to the best compared isomer or geometry (same formula, charge and spin) = 13.0 kJ/mol

# C7H6Cl2NOS

A cluster of 2 separate species, C7H6Cl2NOS in total in a non-equilibrium geometry (the ωB97M-V functional and the def2-TZVPD basis, OMol25).

Structure (ORCA input):
```
! wB97M-V def2-TZVPD RIJCOSX def2/J DEFGRID3
* xyz 1 1
C 2.1433 -1.5143 0.6253
C 3.2689 -0.7926 0.5617
C 1.2666 0.3905 -0.3403
C 0.4238 1.2850 -0.7380
C -2.7986 1.1949 -0.8925
C -2.7142 1.4038 0.4316
C -0.0917 -1.4823 -0.1059
N 1.0991 -0.9463 -0.0122
O -0.0856 2.2570 -0.9817
S 3.0789 0.8021 -0.0875
Cl -1.4260 0.7901 1.4589
Cl -0.5099 -2.9486 0.5134
H 2.0888 -2.4708 1.1938
H 4.2682 -1.2546 0.9962
H -3.5411 1.6899 -1.4831
H -2.1424 0.5355 -1.4311
H -3.4499 2.0087 0.9566
H -0.8781 -0.9481 -0.6652
*
```

Output
E_LUMO = -5.05 eV
Frontier orbital gap = 7.23 eV
Energy relative to the best compared isomer or geometry (same formula, charge and spin) = 0.0 kJ/mol

# C7H6Cl2NP

The molecule C7H6Cl2NP in a non-equilibrium geometry (the ωB97M-V functional and the def2-TZVPD basis, OMol25).

Structure (ORCA input):
```
! wB97M-V def2-TZVPD RIJCOSX def2/J DEFGRID3
* xyz 0 1
C -2.0966 -0.4857 0.9195
C -0.8140 -0.3446 0.1426
C -0.5263 0.6996 -0.7332
C 0.1257 0.3073 -1.9321
N 0.4476 0.0776 -3.0152
C 0.2186 -1.2969 0.3130
C 1.5756 -1.0716 0.3060
Cl 2.6660 -2.4634 0.5496
P 2.3041 0.4261 0.8738
C 1.4314 1.7102 -0.1238
Cl 1.2640 3.2394 0.6143
H -3.0945 -0.3057 0.3184
H -2.2222 0.1159 1.7372
H -2.0760 -1.5874 1.3344
H -1.0762 1.6526 -0.8086
H -0.0620 -2.3096 0.6616
H 1.9348 1.6360 -1.1575
*
```

Output
SMILES = CC(=C/C#N)/C=C(Cl)\P=C\Cl
E_LUMO (alpha / beta) = -1.24 / -1.24 eV
Frontier orbital gap (alpha / beta) = 7.38 / 7.38 eV
Energy relative to the best compared isomer or geometry (same formula, charge and spin) = 186.5 kJ/mol

=====

(1)
Computed, not measured: C25H22BHoN8O5S as an isolated structure, with ωB97M-V with the def2-TZVPD basis set.

Geometry (Å):
Ho  -1.98  0.19  0.04
C  -0.99  -2.99  -2.75
C  -1.96  -2.05  -2.42
N  -2.03  -1.90  -1.10
N  -1.11  -2.73  -0.56
C  -0.48  -3.40  -1.53
B  -0.86  -2.85  0.97
N  0.17  -1.78  1.42
C  1.44  -2.00  1.81
C  2.00  -0.79  2.16
C  0.98  0.14  1.96
N  -0.12  -0.47  1.52
N  -2.17  -2.60  1.73
C  -2.75  -3.39  2.65
C  -3.87  -2.75  3.14
C  -3.90  -1.54  2.45
N  -2.87  -1.45  1.61
H  -0.70  -3.33  -3.73
H  -2.61  -1.49  -3.07
H  0.29  -4.12  -1.30
H  -0.43  -3.94  1.22
H  1.86  -2.99  1.81
H  3.00  -0.60  2.52
H  1.00  1.21  2.09
H  -2.33  -4.35  2.89
H  -4.57  -3.11  3.87
H  -4.62  -0.73  2.52
C  -1.89  1.41  4.17
C  -2.68  2.08  3.10
N  -2.79  1.66  1.86
C  -3.67  2.53  1.22